Is France interested in seed orchards?
The last international meeting before 2007 focusing a considerable attention on seed orchards was a symposium about mass-propagation technology for fast growing tree species at Bordeaux 1992, France has been rather aggressive in seed orchards earlier. This attitude was also my impression from the French visitors I met in Sweden during the last decades. Recently it was flagged for a textbook about forest tree breeding in French on Forestgen (Nanson)!
I got a response from Luc Pique January 2008 (no one else responded), I summarize and edit:
Four INRA colleagues went to Québec at about the same time as the seed orchard conference to the Larix2007 IUFRO meeting and Canadian poplar meeting.
France has
created hundreds of ha of seed orchards for many species, the Ministry has
decided to have no new seed orchard created in France on State 's funding. That
is a very troublesome situation for breeders who would like to see their
breeding progress into production ! Since nearly ten years, only very few
small-scale new orchards (two with wild cherry, one with ash, two with F2-hybrid
larch) have been created most generally with private funding. Breeders have
looked when possible to other production alternatives like bulk-vegetative
Cemagref, the traditional partner for seed orchard establishment, management and
research on flower and fructification management, was obliged to leave the field
of genetics, breeding and related matters. They just kept a role of experts for
day-to-day management of existing orchards. That is why there were no Cemagref
Forestry department has become a Ecology department, and the place of tree
breeding in this new department is difficult to justify!
Dag Lindgren response:
Of course it is little base for any conclusions about individual countries participation in my seed orchard meeting. But some general comments. An update of the Swedish seed orchard program is available at Since 1993 the Swedish state does not invest a penny in new seed orchards in Sweden, still seed orchards are build for the need of all Swedish nurseries by private funds. If private money can be raised for seed orchards in Sweden, where growth is slow and the average age of a tree in a final harvest is a century, why can not countries where the growth conditions are better convince their private interests to invest in seed orchards?
Is the government more positive to subsidize bulk-vegetative propagation as the researcher work more with that? Bulk propagated cuttings means an added cost on the plant price at a magnitude ten times more than a seed orchard seed, if private money are willing to use bulk propagated cuttings, why would they be unwilling to pay for seed orchards?
It is research in general which is rather hostile to seed orchards, e.g. it was not mentioned in the EU novel tree project. Seed orchards which are the most important cradle for novel trees? Which idiots are forming these invitations for projects?
Cannot genetically improved
_Between two parts of the text: crystal structures_
┌──
# NdHoZr2O7 (GGA-PBE, relaxed)
# size of the total moment: 0.0 μB/f.u.
# total energy: -8.9666 eV per atom
# ΔH_f (0 K): -3.851 eV/atom
data_NdHoZr2O7
_symmetry_space_group_name_H-M 'I m m a'
_symmetry_Int_Tables_number 74
_symmetry_space_group_name_Hall '-I 2b 2'
_cell_length_a 7.5568
_cell_length_b 7.5640
_cell_length_c 10.7030
_cell_angle_alpha 90.00
_cell_angle_beta 90.00
_cell_angle_gamma 90.00
loop_
_atom_site_label
_atom_site_fract_x
_atom_site_fract_y
_atom_site_fract_z
_atom_site_occupancy
Nd1 0.2500 0.2500 0.2500 1
Ho1 0.0000 0.0000 0.0000 1
Zr1 0.0000 0.0000 0.5000 1
Zr2 0.2500 0.2500 0.7500 1
O1 0.0000 0.2500 0.1160 1
O2 0.0000 0.2500 0.4120 1
O3 0.0000 0.2500 0.8379 1
O4 0.2148 0.0383 0.6237 1

* * * * *

[1]
DFT (r2SCAN) results for CdF2 after structural relaxation.

Its magnetic moment is 0.000 μB per atom. Its formation energy is -2.458 eV per atom.

It has space group Fm-3m (No. 225), with a = 5.4010 Å, b = 5.4010 Å, c = 5.4010 Å, α = 90.00°, β = 90.00° and γ = 90.00°. The inequivalent atoms are Cd at (0.0000, 0.0000, 0.0000) and F at (0.2500, 0.2500, 0.2500).

***

[2]
DFT (r2SCAN) results for CdF2 after structural relaxation.

Its magnetic moment is 0.000 μB per atom. Its formation energy is -2.428 eV per atom.

It has space group Pnma (No. 62), with a = 5.8446 Å, b = 3.5602 Å, c = 6.9500 Å, α = 90.00°, β = 90.00° and γ = 90.00°. The inequivalent atoms are Cd at (0.2467, 0.2500, 0.1091), F at (0.0157, 0.2500, 0.8364) and F at (0.1417, 0.2500, 0.4220).

***

[3]
DFT (r2SCAN) results for KCdF3 after structural relaxation.

Its magnetic moment is 0.000 μB per atom. Its formation energy is -2.676 eV per atom.

It has space group Pnma (No. 62), with a = 6.1811 Å, b = 8.6414 Å, c = 6.0821 Å, α = 90.00°, β = 90.00° and γ = 90.00°. The inequivalent atoms are K at (0.0435, 0.2500, 0.0100), Cd at (0.0000, 0.0000, 0.5000), F at (0.0268, 0.7500, 0.4184) and F at (0.2071, 0.5428, 0.7946).
└──
seed orchard seeds by sold at a profit which pays for new seed orchards? In
situations where the
state has paid for the current seed orchards? The major
cost of seeds from a well managed seed orchard is not establishment or
management, it is harvesting and subsequent seed handling.